3 Decisions
Date = 5 September
Place = San Francisco (Uncle John’s house)
POV - Damion
Shit, she is even prettier than I remembered, if that’s possible
My eyes immediately found her in the crowd … like they always do. She’s standing between her uncle and Kiara, just mere meters away from me, wearing distressed jeggings that make those sporty legs pop.
Combine that with a barely-not-see-through, silky, dirty-pink, off-shoulder shirt, showing just the hint of a slinky black bra that flatters her C-cup cleavage and she’s demanding me to stand up and pay fucking attention.
She has great tits. The best I’ve ever seen — full and stiff and just big enough without looking unproportional. I bet they will feel like heaven in my hands.
Fuck. I move a little to compensate for the blood flooding a part south of my navel and seriously try to reprimand my cock down before it gets embarrassing. This girl is making it fucking hard not to act on my impulses. Very fucking hard.
Her hair hangs loose in soft curls down her back, reaching that tight hot-as-fuck ass. I love the color — white-spun sun with streaks of gold, ash, and honey all married together.
Enrique walks past, his arm around a gorgeous redhead dressed in a skimpy skirt and top. Typical of him … he loves gingers. Always has. I’m a blonde man myself. Actually, since the haunted house incident, I’ve secretly been a one-blonde man.
“Looking good, peops!” he shouts at the two girls.
“Who’s the new flavor of the day?” Kiara asks as her mouth pulls into a smile.
“Not a clue, you know I can’t keep up with my brothers’ fuckbuddies, so I don’t even bother to ask for names anymore.” I smile at both her answer and the judgmental look on her face. I know she thinks all of us are man-whores … players … and it’s probably true. The majority of this group does fuck around a lot… myself included, but I bet our numbers are not nearly as high as she thinks them to be.
She doesn’t understand the complications of being a man. Stats show that the average man thinks about sex every 8 seconds. I would put it more to the likes of every 15 seconds, but yeah … it’s not far from the truth.
“So where’s this Ren?” Uncle John asks.
My face contorts into a disgusted smirk all by itself. I’ve heard she’s going out with some asshole. I’m not happy. And it’s something I need to rectify asap.
“He’s going to be a little late cause he’s picking up some friends after work.” I don’t know this Ren guy … but I’ve heard the dude is friends with Jason. Jason fucking Steward. How the fuck can she go out with anyone even remotely related to HIM?
Those parrot-blue eyes lock on mine, making my little man want to do the hula. Not being with a girl for what seems like forever doesn’t help either.
Those windows to her soul display a mother-load of paradoxes — it’s as if the girl is in a constant battle with herself whenever I’m around. Love and hate — both intense emotions directed at me. Ambivalence.
I notice the subtle intake of breath, the way her nostrils suddenly flare, the light coating of goosebumps on her skin, the sudden increase of her pulse, the look in her eyes that she so desperately tries to hide with a shitty expression. I can read her like a fucking comic book.
She’s not as immune to my charms as she wants to let on. That’s not where the problem lies — will she forgive me for ripping out her heart? That’s the question. She’s rather stubborn that one. And can she learn to trust me? Trust is important for my plan to work. But I have an idea that I will need to work on that.
I’m definitely anything but immune to her too.
Hell, she can seriously seduce me with just one look. Fucking magic sorcery. Why else would an 11-year-old boy lose his heart at first sight? The girl is a fucking bewitching angel with voodoo spells.
I clench my hands in fists next to my body and bite my jaw not to grab her and kiss those sinful pink lips. To move my hands underneath that shirt, into those pants, and explore that warm part of her I always dream about. Erotic steaming wet dreams that leave me breathless for hours. Every fucking time.
Oh, I want her so badly … to satisfy this craving she created in me. Maybe fucking her will break the spell she holds over me. My dick stirs again.
I take a deep breath, smile widely, and wink at her.
A little ungirly swear word, starting with a C and naming the place that’s hopefully heating up right now, escapes her lips, a bit too hard. She slams her hand over her mouth while a pink blush spreads to her cheeks. Both her uncle and Kiara look rather astonished at her. She pulls her shoulders up.
“Sorry, it slipped out,” she apologizes while glaring at me with heated eyes. I swear she’s strangling me in her mind. Kinky. I can work with that.
I’m vaguely aware of a touch, but my mind is still lingering on erotic thoughts only she can evoke, and I can’t register, think dirty, and be hard at the same time.
She breaks the passionate lock between our eyes, a moment of heartbreak illuminated in those baby-blues, crashing my thoughts.
Somewhere in my poised mind, I figure that I’m to blame for her sadness again, as my brain slowly starts to function back to normality.
I watch her walk away. Hell, over the years, the habit of her running away from me became a rather familiar sight, one that I came to appreciate, and one that keeps me spellbound. Who wouldn’t with an ass like hers swaying away for you to feast your eyes on?
“Did you miss me, baby?” A warm breath blows in my ear. I freeze. Fuck. I was so engrossed in the moment I didn’t fully register the invasion of my space. I remove the snaky arm from my body as I turn to face probably my least favorite person in this world.
“Why the fuck are you here?” I hiss. “This is a private function.” I’m not happy.
“Oh, it’s like fate,” she starts energetically, “I don’t know if you’ve met Ren … he’s my high-school buddy … and he is going to marry the little blonde girl who lives here.” Over my fucking dead body.
“And I know you are friends with her brothers so I tagged along. And here you are.” Great. Now I seriously need to get Mel away from that asshole. Not only is he friends with Jason … he’s also friends with Chloe Bear … the biggest bitch psycho predator stalker in the world.
Chloe puts her head on my shoulder, holding me so tight my arm is going numb.
“Get the fuck off me!” I shake her off. She pouts her lips. Ugh, suddenly I realize I might not be too fond of blood-red lipstick. I take out my phone and send a group message to the boys.
“S1 PSB — Chloe. ” They’ll understand. We have these codes. PSB is psycho stalker bitch. And S1 means seriousness level 1, in other words, it’s fucking serious.
Jackson eyeballs me from across the room. One side of his lip curls up into an annoying smile. I know that smile. Fuck. He’s been keeping an eye on me since he caught me that day with his sister.
Almost killed me, the fucker. The boy is even more broken than me. And way more dangerous.
I need a fucking drink. A strong one. As soon as I can escape these tentacles.
Someone pasted records of molecules at this point:
<<<
The following is a DFT calculation (ωB97M-V with the def2-TZVPD basis set) of a structure of composition C2H3Cl2N2 at a distorted geometry.

Output
LUMO energy (alpha / beta), Eh: -0.2118 / -0.2100
Highest occupied orbital energy (alpha / beta), eV: -13.8 / -13.6
Orbital gap (alpha / beta), eV: 8.1 / 7.9
Charge: +1
ΔE to the lowest compared entry with this formula, charge and spin, eV: 5.652

Atoms and positions in Å:
Cl  1.06856  -1.95655  2.44697
Cl  0.02016  -2.67703  0.13726
N  1.38713  -2.70095  0.94793
N  -0.36842  1.77543  -0.59179
C  -0.37375  0.34997  -0.45872
C  -0.45745  -0.83144  -0.68276
H  0.43910  2.07089  -0.12841
H  -1.28278  1.98659  -0.14416
H  -0.43256  1.98309  -1.52632

The following is a DFT calculation (ωB97M-V with the def2-TZVPD basis set) of a cluster of 2 separate species, C2H3Cl2N3O2 in total at a distorted geometry.

Output
LUMO energy, Eh: 0.0023
Highest occupied orbital energy, eV: -10.5
Structure (SMILES): C/N=[N+](\[O-])Cl.O=C=NCl
Orbital gap, eV: 10.6
ΔE to the lowest compared entry with this formula, charge and spin, eV: 0.038

Atoms and positions in Å:
Cl  -3.55912  -1.86143  0.64735
Cl  -3.24250  1.93696  1.31236
O  -1.47130  1.20139  -2.04474
O  -1.61496  -2.55863  -0.78842
N  -1.87850  -1.70642  -0.03010
N  -2.85514  1.69020  -0.28948
N  -1.41298  -0.71095  0.41309
C  -0.06875  -0.28418  0.10488
C  -2.02242  1.46508  -1.07996
H  -0.01997  0.01860  -0.98760
H  -0.05841  0.62257  0.66963
H  0.73434  -0.96266  0.33548

The following is a DFT calculation (ωB97M-V with the def2-TZVPD basis set) of an isolated molecule of C2H3Cl2NO at a distorted geometry.

Output
LUMO energy, Eh: -0.0125
Highest occupied orbital energy, eV: -10.7
Structure (SMILES): NC(Cl)(Cl)C=O
Orbital gap, eV: 10.3
ΔE to the lowest compared entry with this formula, charge and spin, eV: 1.433

Atoms and positions in Å:
Cl  -1.31732  1.59250  0.60679
Cl  -1.66769  -1.22010  -0.34830
O  1.35890  0.01213  -1.44365
N  0.52128  -0.37716  1.16324
C  0.30910  0.45638  -1.12445
C  -0.24187  0.11326  0.19195
H  -0.04888  -0.71894  1.89946
H  -0.20098  1.17381  -1.64771
H  1.28746  -1.03187  0.70267

The following is a DFT calculation (ωB97M-V with the def2-TZVPD basis set) of an isolated molecule of C2H3Cl2NSi at a distorted geometry.

Output
LUMO energy, Eh: 0.0170
Highest occupied orbital energy, eV: -11.2
Structure (SMILES): N#CC[SiH](Cl)Cl
Orbital gap, eV: 11.7
ΔE to the lowest compared entry with this formula, charge and spin, eV: 0.645

Atoms and positions in Å:
Cl  1.43356  1.74105  1.50938
Cl  -1.05291  -0.33259  2.40415
Si  -0.20333  0.73148  0.89621
N  -0.17007  -0.20581  -2.80102
C  0.24871  -0.66767  -0.34212
C  0.12855  -0.25907  -1.69905
H  -1.11937  1.71371  0.27574
H  -0.56952  -1.58781  -0.06136
H  1.30438  -1.13329  -0.18192

The following is a DFT calculation (ωB97M-V with the def2-TZVPD basis set) of a cluster of 2 separate species, C2H3Cl3 in total at a distorted geometry.

Output
LUMO energy, Eh: 0.0028
>>>
Axel is first to the rescue.
“Chloe, come with me.” He grabs her arm and pulls her away. She starts to protest, but I’m already ducking out, looking around to find Mel.
Then I see her. She’s talking to Aunt Betty and … my mother. She’s met my mother about twice before.
I walk past the bar, grab a drink, and settle into a corner, close enough to eavesdrop. Yeah, not my finest moment. I should be here for Logan, not spy on his sister.
“So, how was your vacation?” Mom asks, her green eyes drifting over the crowd until it lands on me where I’m leaning on the table against the wall. She frowns lightly. I pull an I-have-to-do-this face and hope she understands her son. But how can she when I don’t even understand myself?
All reason left that day. The 1st of March it was again. I spent a good deal of my life since then, to fathom why I feel what I feel. I still don’t know exactly, but I have an idea.
That day … was a bad day for me, one of the worst. I didn’t expect anyone else to be at that haunted house. So the group of kids was a surprise. I wanted to warn them … but chaos erupted before I could.
**The piece is interrupted by molecular data:**
........
Entry 1:
{"formula": "C17H38BrN4OS", "method": "ωB97M-V with the def2-TZVPD basis set", "molar_mass_g_mol": 426.489, "total_energy_ha": -3936.7144, "spin_multiplicity": 1, "total_charge": 1, "homo_ev": -10.8523, "symbols": ["C", "C", "C", "C", "N", "C", "C", "C", "C", "C", "C", "N", "N", "C", "C", "N", "C", "C", "C", "Br", "H", "H", "H", "H", "H", "H", "H", "H", "H", "H", "H", "H", "H", "H", "H", "H", "H", "H", "H", "H", "H", "H", "H", "H", "H", "H", "H", "H", "H", "H", "H", "H", "C", "S", "O", "C", "H", "H", "H", "H", "H", "H"], "xyz": [[1.4622, 1.1670, 1.1900], [0.0648, 0.8888, 0.6337], [-0.2957, -0.5722, 0.9630], [-0.8894, -1.4410, -0.1328], [-0.3459, -1.2431, -1.5317], [1.0998, -1.0967, -1.6902], [1.3766, 0.0551, -2.6781], [2.8320, 0.4895, -2.7260], [3.8124, -0.6904, -2.7655], [3.2341, 1.4368, -1.5913], [-0.8624, -2.1845, -2.3085], [-0.1933, -3.2519, -2.8137], [-2.1664, -2.1215, -2.5647], [-2.9425, -2.3095, -1.2751], [-2.4366, -1.4147, -0.1629], [-2.8201, -2.0781, 1.1127], [-3.1093, -0.0370, -0.0620], [-3.4299, 0.8088, -1.3005], [-2.3227, 1.1621, -2.2564], [-5.0278, 0.1826, -2.2613], [1.5265, 0.9624, 2.2540], [2.2039, 0.5397, 0.7109], [1.7676, 2.1959, 1.0263], [0.1140, 1.1002, -0.4260], [-0.5926, 1.5626, 1.1660], [0.6056, -1.0607, 1.3108], [-0.9747, -0.5964, 1.8006], [-0.6575, -2.4714, 0.1515], [1.5891, -1.9542, -2.1306], [1.6394, -0.8752, -0.7777], [0.7593, 0.9176, -2.4502], [1.0531, -0.2971, -3.6571], [2.9757, 1.0264, -3.6578], [3.7762, -1.2355, -1.8325], [4.8073, -0.3199, -2.9658], [3.5153, -1.3549, -3.5735], [3.7849, 0.9354, -0.8080], [2.4104, 2.0068, -1.1770], [3.9296, 2.1600, -1.9993], [0.6051, -3.1550, -3.4198], [-0.4139, -4.1952, -2.5350], [-2.3754, -2.9158, -3.1619], [-2.7381, -3.3304, -0.9592], [-4.0106, -2.2578, -1.4114], [-2.4566, -3.0255, 1.1483], [-3.8334, -2.1358, 1.1351], [-4.0704, -0.2212, 0.4052], [-2.6015, 0.6181, 0.6294], [-3.7601, 1.7553, -0.9050], [-2.7317, 1.8807, -2.9583], [-1.9576, 0.3415, -2.8506], [-1.5306, 1.6893, -1.7472], [-0.0817, 2.1731, 5.0965], [1.6743, 2.5409, 4.9593], [2.3656, 1.2624, 4.6414], [1.9372, 2.8699, 6.7049], [-0.4456, 1.8958, 4.1086], [-0.2306, 1.3446, 5.7892], [-0.6117, 3.0597, 5.4443], [1.6559, 1.9942, 7.2896], [1.3448, 3.7348, 7.0031], [2.9936, 3.0843, 6.8502]]}

---

Entry 2:
........
And there, between all the madness of fleeing children, a small girl stood bravely, holding her pierced arm, blood dripping through her fingers. She didn’t cry. I couldn’t take my eyes off her. She looked like a wounded angel trying to break out of the darkness. Perfect in any way. Our eyes met and my pain lifted. For the first time in a year, I felt alive.
Maybe that’s where the attraction lies. The fact that she somehow makes it hurt less. For some reason, she’s the only one who can.
“It was great. We saw so many things. I’m really glad we did it.” I’m glad too. I could take the time to focus on myself. I delved into my heart and tried to fix the broken parts.
It was not easy, but I can earnestly say, I know now what I want. And I’m going to do anything I can to get it.
To protect her I shall break every rule. To have her I shall face all my demons. I shall defend her from anything, but who will protect me?
“Hey, dude,” Jackson leans onto the table next to me, his eyes fixed on the same spot as mine … his sister. Fuck.
I down my drink.
But to get what I want … there lies the motherfucking problem. It’s delicate, and challenging, and hazardous. I’m going to have to risk everything. I sneak a peek at the man next to me. Oh, I might make it out alive, but I am definitely gonna experience some extreme physical pain, that’s for sure.
Her curse. I smirk. I started that. And now I’m going to experience it. Karma is a bitch they say.
I turn my glass around between my fingers. But I’m not backing out now.
This is probably the most important decision I’ve made in my life. It took me almost the whole bloody season to decide — I needed to be 110% sure. But I’m ready. It’s now or never.
“What’s wrong with you these last couple of months?” His blue eyes glare through my soul and into the darkest little corner of my being. No one can hide stuff from Jackson for too long — he’s just that good. But I can’t let him in. Not this time. Not yet. I lower my eyes to hide the truth. However, I need to say something. But what?
I can’t very well say I’m thinking of breaking the rules. MY RULES. Rules I never dare to break! Rules that keep me in control.
And I certainly can’t say I’m going to start dating your sister and I’m for sure going to fuck her blind as soon as she’s ready.
“Are you still rattled by the accident?”
No. I’m way past that. Even my body has healed.
“Yes.” I lie. I have to. Jackson is way too observant. And if he finds out now, everything will be ruined. I won’t have a hooting chance in hell to come anywhere near Mel.
I can’t make mistakes.
“Hey,” Luke shouts and grabs my arm. My little brother is only nine but he has the jig of a future player. “Have you met this girl?” I now notice that he’s holding Mel’s hand.
“That’s my sister, little dude,” Jackson says. “Don’t even think about it or I might just have to kill you.” I’m not sure if he’s serious or teasing right now.
“But she’s so dope,” Luke pouts innocently. “I mean, just look at her.” Mel blushes lightly and messes up Luke’s dark hair. “And she smells like candy.”
He’s right. Just seeing her sends a soft humming of need through my body. And she smells like fucking heaven. I want this girl more than anything else on this green earth.
From the first time I saw her, Mel shook my boat, but it was at her locker where she grabbed me by the balls, and she hadn’t let go. I can’t get her out of my mind. And trust me, it’s not because of a lack of trying. I’ve been trying for 10 fucking years. I’ve tried everything … I tried to stay away, I tried to be a good boy, I tried to fuck her out of my mind, I tried to concentrate on my racing, I tried to grow out of it. Nothing seems to work.
I’ve been patient … but I think I’ve reached my limit.
Luke pulls Mel forward and her arm brushes against mine. It feels as if I am shocked by a cattle prodder, sparks shooting from my arm to my toes, electrifying my dick into a semi-hardon.
“Hey, Jackson,” Enrique shouts from the bar, “Come drink one with the birthday boy.” Logan is already a little unfit on his feet. Jackson leaves, taking some of the tension with him.
“So, how have you been? Enjoyed the year away?” Hearing the slight crack in my voice makes me cringe for a drink right about now … an extra-extra-strong one.
“I’m good thanks, yep, a year away from YOU and my brothers — best time ever.” She smiles but it doesn’t reach her eyes. And I’m sure she accentuated the ‘you’.
I lean forward, my mouth at her ear.
“So did you think of me?”
She gasps. “Yes.” I know it slipped out. She backpedals as fast as she can. “No!” A horrified expression on her face.
I pull my eyebrows up and plaster on a sexy grin. It pees her off in an instant. I’m sure she’s thinking of strangling me again.
“It will be much more erotic,” I say. It comes out more husky than intended.
“Huh?” She’s clearly confused.
“Choking me in reality will feel much more erotic than dreaming about it.” Her eyes grow wide.
“It’s a gift,” I answer her unasked question. Darn, I love teasing her.
“If you date my lame-ass brother, you can become my sister,” my brother chimes with puppy-love eyes. “Please, the guy sucks in the female department, but he’s a pretty nice dude if you get to know him.”
“I don’t suck.” I just try to keep my sex life away from home. It’s in my rules. And I’m not proud of the way the press portrays me. Or that they’re mostly right.
“And I’m sure this lame-ass brother can still kick your but!” I say, suppressing a smile, “I don’t have a problem picking up girls.”
“That’s for sure,” she hisses, her face turning into that familiar judgmental one. Maybe I should just shut up now before I ruin everything.
“Yeah, sure, I’ll believe it when you ask Mel out.” Luke pulls a shitty face while looking sincerely at me.
“I’ll see about that.” I wink at my brother.
“Chicken!” Luke pulls his eyes at Mel with a sexy little I-told-you-so smile and then he challenges me with a cocky stance, chin in the air.
_Between two parts of the piece: quantum chemistry results_
********
A molecular structure, C58H111MgN14O12 at a distorted geometry, computed with the ωB97M-V functional and the def2-TZVPD basis.

ORCA input file:
```
! RIJCOSX wB97M-V def2-TZVPD def2/J DEFGRID3
* xyz 1 1
Mg 0.21 -6.77 -2.33
C 0.85 -1.87 -0.05
C -0.17 -2.53 -0.98
C -1.04 -1.56 -1.77
O 0.27 -3.69 -1.58
H 0.42 -0.98 0.40
H 1.70 -1.57 -0.67
H 1.18 -2.44 0.82
H -0.82 -2.86 -0.17
H -1.56 -2.17 -2.51
H -0.42 -0.80 -2.25
H -1.81 -1.05 -1.18
C -0.92 3.93 2.77
C -0.91 2.88 3.72
C -0.22 3.00 4.95
C 0.50 4.14 5.21
C 0.37 5.22 4.39
C -0.28 5.10 3.20
C 1.05 6.59 4.74
O 1.03 7.58 3.99
C 1.65 6.63 6.14
C 2.13 7.89 6.58
C 2.75 7.98 7.83
C 2.91 6.82 8.67
C 2.43 5.59 8.26
C 1.84 5.46 6.95
C 1.30 4.14 6.44
O 1.62 3.06 7.00
H -1.42 3.88 1.81
H -1.33 1.89 3.55
H -0.15 2.13 5.58
H -0.49 5.92 2.53
H 1.96 8.83 6.08
H 3.32 8.87 8.07
H 3.63 6.76 9.46
H 2.53 4.71 8.89
C -0.56 0.23 -8.01
O 0.52 -0.26 -8.21
N -1.06 1.23 -8.77
N -1.21 -0.07 -6.95
H -1.88 1.72 -8.44
H -0.59 1.49 -9.63
H -2.22 -0.06 -6.94
H -0.86 -0.80 -6.35
C -0.09 -8.39 1.61
O -0.12 -7.85 0.48
N 0.80 -8.10 2.50
N -1.07 -9.06 1.98
H 0.89 -8.72 3.28
H 1.41 -7.36 2.18
H -1.90 -8.99 1.42
H -0.92 -9.70 2.75
C 1.67 -5.35 -5.99
O 1.13 -6.15 -5.27
N 1.51 -4.09 -5.88
N 2.53 -5.73 -6.91
H 1.30 -3.87 -4.91
H 2.12 -3.52 -6.44
H 3.18 -5.03 -7.23
H 2.80 -6.70 -6.96
C -3.81 -6.94 -3.34
O -2.83 -6.79 -2.78
N -4.00 -6.76 -4.58
N -4.87 -7.51 -2.82
H -4.92 -6.60 -4.95
H -3.25 -6.60 -5.24
H -5.72 -7.55 -3.37
H -4.75 -7.95 -1.92
C 4.43 -6.65 -2.25
O 3.25 -6.99 -2.19
N 5.48 -7.44 -2.16
N 4.87 -5.45 -2.40
H 5.13 -8.36 -1.91
H 6.34 -7.10 -1.76
H 4.14 -4.75 -2.37
H 5.87 -5.31 -2.29
C -7.65 1.44 -8.16
C -6.59 2.44 -7.70
C -7.45 3.78 -7.28
C -7.20 4.57 -5.97
C -6.66 3.55 -4.95
C -5.55 2.59 -5.41
N -6.03 1.74 -6.56
O -5.31 0.59 -6.82
C -4.21 3.43 -5.69
C -5.24 1.76 -4.12
C -5.55 2.75 -8.80
H -7.17 0.52 -8.49
H -8.26 1.84 -8.97
H -8.29 1.09 -7.35
H -7.27 4.51 -8.07
H -8.52 3.58 -7.18
H -7.97 5.22 -5.57
H -6.33 5.19 -6.23
H -7.58 3.00 -4.74
H -6.40 3.92 -3.96
H -4.52 4.36 -6.16
H -3.78 3.75 -4.74
H -3.51 2.79 -6.22
H -5.34 2.27 -3.17
H -5.99 1.00 -3.93
H -4.26 1.29 -4.10
H -5.01 1.82 -8.95
H -4.74 3.41 -8.48
H -5.94 3.07 -9.77
H -5.84 -0.18 -6.58
C 1.70 3.22 -4.34
C 2.08 4.33 -3.41
C 3.61 4.03 -3.00
C 4.28 5.28 -2.39
C 4.30 6.51 -3.33
C 2.77 6.79 -3.77
N 2.02 5.58 -4.16
O 0.83 5.83 -4.80
C 1.87 7.69 -2.87
C 2.99 7.67 -5.00
C 1.19 4.28 -2.18
H 0.64 2.95 -4.32
H 2.30 2.32 -4.20
H 1.93 3.58 -5.34
H 3.74 3.18 -2.33
H 4.20 3.97 -3.91
H 5.21 4.84 -2.05
H 3.80 5.68 -1.50
H 4.88 6.28 -4.23
H 4.69 7.43 -2.89
H 2.36 8.00 -1.95
H 1.55 8.67 -3.23
H 0.97 7.19 -2.50
H 2.02 8.13 -5.19
H 3.76 8.43 -4.84
H 3.33 7.20 -5.92
H 1.64 4.81 -1.34
H 1.10 3.29 -1.73
H 0.26 4.82 -2.37
H 1.17 6.01 -5.68
C -4.54 -2.69 8.82
C -3.95 -3.67 7.87
C -4.72 -5.06 7.90
C -4.38 -6.06 6.86
C -4.53 -5.38 5.51
C -3.74 -4.02 5.31
N -4.06 -3.12 6.46
O -3.70 -1.82 6.35
C -2.28 -4.47 5.06
C -4.25 -3.35 3.99
C -2.41 -3.65 8.28
H -5.55 -2.32 8.63
H -3.92 -1.84 9.09
H -4.74 -3.26 9.73
********
“And you’re so dead,” I threaten. Luke runs away, looking back, pointing his fingers at me and then at his eyes, showing that he’s watching me. I smile and pull a finger across my neck, making a cut-throat sound.
“Cocky little bastard.”
“Seems to me it runs in the family,” she dabs.
“Yep, just like our great taste in women. So will you?” I blink and scratch the back of my head. Why do I feel awkward all of a sudden?
“Go out with you?” her voice dips. I hold my breath. Then she pushes out her chest, not knowing that she leaving me with the perfect view of her cleavage. “I’m not that naïve little girl anymore and I’m certainly not your kinda girl.” She wiggles her eyes and gives me a million-dollar smile. Oh, has she got it wrong. She’s exactly my type. In fact, she’s my only type.
“And what kind might that be?”
“Firstly, it’s old news that Mr. MotoGP doesn’t do blondes. I’m for sure not dying my hair brown to fit into your groupie spectrum.” Okay … maybe I only sleep with brunettes. But there’s a reason for that. A very good one, in fact.
“Maybe you should not judge what you don’t know. Things aren’t always as they seem.” I interrupt her before she gets to her second reason.
My mouth is super dry all of a sudden. This is going to be a little bit more difficult than I thought. How can I convince her that I’ve changed?